Reproduce the whole of the data further down word for word.
'''
Theoretical powder diffraction line list of Ac2Zn3Cd2 for λ = 1.5418 Å (Cu Kα), from a crystal structure in Alexandria, relaxed with PBE.
Intensities are scaled so that the largest is 100.

Top 6 peaks for 5° ≤ 2θ ≤ 70°, by angle:
| 2theta | d/Å | I/Imax |
| --- | --- | --- |
| 30.28 | 2.952 | 74 |
| 31.72 | 2.821 | 100 |
| 38.84 | 2.319 | 38 |
| 39.17 | 2.300 | 32 |
| 51.14 | 1.786 | 22 |
| 56.35 | 1.633 | 25 |

Atomic structure:
```
data_Ac2Zn3Cd2
_chemical_formula_sum 'Ac8 Zn12 Cd8'
_cell_length_a 4.599
_cell_length_b 20.062
_cell_length_c 7.844
_cell_angle_alpha 90.00
_cell_angle_beta 90.00
_cell_angle_gamma 90.00
_symmetry_space_group_name_H-M 'C m c m'
_symmetry_Int_Tables_number 63
_symmetry_space_group_name_Hall '-C 2c 2'
loop_
_atom_site_label
_atom_site_fract_x
_atom_site_fract_y
_atom_site_fract_z
Ac1 0.000 0.061 0.250
Ac2 0.000 0.151 0.750
Zn1 0.000 0.229 0.250
Zn2 0.000 0.447 0.082
Cd1 0.000 0.313 0.558
```
'''
Theoretical powder diffraction line list of Ac2Zn3Cd2 for λ = 1.5418 Å (Cu Kα), from a crystal structure in Alexandria, relaxed with PBE.
Intensities are scaled so that the largest is 100.

Top 6 peaks for 5° ≤ 2θ ≤ 70°, by angle:
| 2theta | d/Å | I/Imax |
| --- | --- | --- |
| 30.28 | 2.952 | 74 |
| 31.72 | 2.821 | 100 |
| 38.84 | 2.319 | 38 |
| 39.17 | 2.300 | 32 |
| 51.14 | 1.786 | 22 |
| 56.35 | 1.633 | 25 |

Atomic structure:
```
data_Ac2Zn3Cd2
_chemical_formula_sum 'Ac8 Zn12 Cd8'
_cell_length_a 4.599
_cell_length_b 20.062
_cell_length_c 7.844
_cell_angle_alpha 90.00
_cell_angle_beta 90.00
_cell_angle_gamma 90.00
_symmetry_space_group_name_H-M 'C m c m'
_symmetry_Int_Tables_number 63
_symmetry_space_group_name_Hall '-C 2c 2'
loop_
_atom_site_label
_atom_site_fract_x
_atom_site_fract_y
_atom_site_fract_z
Ac1 0.000 0.061 0.250
Ac2 0.000 0.151 0.750
Zn1 0.000 0.229 0.250
Zn2 0.000 0.447 0.082
Cd1 0.000 0.313 0.558
```